Source:
-- begin --
# LaEr2TcN4

LaEr2TcN4 after structural relaxation (GGA-PBE, Alexandria via LeMat-Bulk).

The structure in POSCAR format:
```
LaEr2TcN4
1.0
1.737 -5.860 0.000
1.737 5.860 0.000
0.000 0.000 11.572
La Er Tc N
2 4 2 8
direct
0.117 0.883 0.750
0.883 0.117 0.250
0.369 0.631 0.540
0.369 0.631 0.960
0.631 0.369 0.040
0.631 0.369 0.460
0.146 0.854 0.250
0.854 0.146 0.750
0.000 0.000 0.000
0.000 0.000 0.500
0.262 0.738 0.124
0.262 0.738 0.376
0.435 0.565 0.750
0.565 0.435 0.250
0.738 0.262 0.624
0.738 0.262 0.876
```

Computed properties:
Its energy relative to the elements, uncorrected is -1141 meV/atom. For the density of states at the Fermi level, the calculation gives 2.24 states/eV/f.u. The total magnetization comes out at 0.00 μB/f.u. As for the space group: Cmcm.


(1)
VASP calculation (PBE) on Sm4HgAs2Se after structural relaxation.

Its formation energy without anion corrections is -127 kJ per mole of atoms.

It has space group P2/m (No. 10), with a = 7.3241 Å, b = 4.1918 Å, c = 7.4510 Å, α = 90.00°, β = 108.50° and γ = 90.00°. The distinct sites, in fractional coordinates, are Sm at (0.2332, 0.0000, 0.2336), Sm at (0.2355, 0.5000, 0.7515), Hg at (0.5000, 0.5000, 0.5000), As at (0.0000, 0.0000, 0.5000), As at (0.0000, 0.5000, 0.0000) and Se at (0.5000, 0.0000, 0.0000).

=====

(2)
VASP calculation (PBE) on Cr2CdRu after structural relaxation.

The formation enthalpy at 0 K is 0.2497 eV per atom.

It has space group P4mm (No. 99), with a = 2.9773 Å, b = 2.9773 Å, c = 6.7362 Å, α = 90.00°, β = 90.00° and γ = 90.00°. The distinct sites, in fractional coordinates, are Cr at (0.0000, 0.0000, 0.0000), Cr at (0.5000, 0.5000, 0.1999), Cd at (0.5000, 0.5000, 0.7055) and Ru at (0.0000, 0.0000, 0.4113).

=====

(3)
VASP calculation (PBE) on Y2Be4Al after structural relaxation.

The formation enthalpy at 0 K is 0.4438 eV per atom.

It has space group I4/mmm (No. 139), with a = 4.2244 Å, b = 4.2244 Å, c = 14.3550 Å, α = 90.00°, β = 90.00° and γ = 90.00°. The distinct sites, in fractional coordinates, are Y at (0.0000, 0.0000, 0.1447), Be at (0.0000, 0.0000, 0.3414), Be at (0.0000, 0.5000, 0.0000) and Al at (0.0000, 0.0000, 0.5000).

=====

(4)
VASP calculation (PBE) on SrY2ZnO after structural relaxation.

Its formation energy without anion corrections is -108 kJ per mole of atoms.

It has space group P4/mmm (No. 123), with a = 4.7805 Å, b = 4.7805 Å, c = 5.0802 Å, α = 90.00°, β = 90.00° and γ = 90.00°. The distinct sites, in fractional coordinates, are Sr at (0.0000, 0.0000, 0.0000), Y at (0.0000, 0.5000, 0.5000), Zn at (0.5000, 0.5000, 0.0000) and O at (0.0000, 0.0000, 0.5000).

=====

(5)
VASP calculation (PBE) on TmScAlAu after structural relaxation.

As for the energy above the most stable polymorph in this dataset: 50 meV/atom. The formation enthalpy at 0 K is -0.5766 eV per atom.

It has space group F-43m (No. 216), with a = 6.9974 Å, b = 6.9974 Å, c = 6.9974 Å, α = 90.00°, β = 90.00° and γ = 90.00°. The distinct sites, in fractional coordinates, are Tm at (0.0000, 0.0000, 0.0000), Sc at (0.0000, 0.0000, 0.5000), Al at (0.2500, 0.2500, 0.2500) and Au at (0.2500, 0.2500, 0.7500).

=====

(6)
VASP calculation (PBE) on KRbBe2 after structural relaxation.

As for the energy above the most stable polymorph in this dataset: 829 meV/atom. The formation enthalpy at 0 K is 1.2963 eV per atom.

It has space group I-42d (No. 122), with a = 9.3609 Å, b = 9.3609 Å, c = 6.1147 Å, α = 90.00°, β = 90.00° and γ = 90.00°. The distinct sites, in fractional coordinates, are K at (0.0000, 0.0000, 0.0000), Rb at (0.0000, 0.0000, 0.5000) and Be at (0.2421, 0.2500, 0.1250).

=====

(7)
VASP calculation (PBE) on Tb6MgNi2 after structural relaxation.

The formation enthalpy at 0 K is -0.2154 eV per atom.
-- stop --

Job:
Next, restate only the lines further up with the word "Sm" in them.

Worked solution:
It has space group P2/m (No. 10), with a = 7.3241 Å, b = 4.1918 Å, c = 7.4510 Å, α = 90.00°, β = 108.50° and γ = 90.00°. The distinct sites, in fractional coordinates, are Sm at (0.2332, 0.0000, 0.2336), Sm at (0.2355, 0.5000, 0.7515), Hg at (0.5000, 0.5000, 0.5000), As at (0.0000, 0.0000, 0.5000), As at (0.0000, 0.5000, 0.0000) and Se at (0.5000, 0.0000, 0.0000).